FDS Members Attend CPCal’s Conference April 2018
Some FDS members will present and most FDS members will attend the CPCal Conference in April.
On April 27-29th 2018, Jami Fosgate and Kevin Chroman, along with other Family Divorce Solutions members, will be attending the 13th Annual Statewide Collaborative Professionals California Conference in San Mateo, California.
On Fri morning, April 27th, Jami Fosgate, JD, , who is a collaborative family law attorney with Family Divorce Solutions, will be presenting the Motivational Interview (MI) Process. She will be joined by Ria Severance, MA, LMFT and Mary Ann Aronsohn, MA, LMFT to discuss how MI can help clients to recognize their core values, access their own motivation and prepare themselves to be open to the agreement process.
Kevin Chroman, Esq., family law attorney at Family Divorce Solutions, is on the Board of Directors, and serves as the Board’s Secretary for the Collaborative Practice California (CPCal) organization.
By attending this conference, our members will further educate themselves and help raise funds to increase awareness with the general public as to how the collaborative divorce process works.
During this conference, the Family Divorce Solutions members will have a chance to network with others who practice collaborative law.
CPCal’s mission is to unify, strengthen and support the Collaborative Practice community and to increase public awareness of the Collaborative Process throughout California.
Members include collaborative lawyers, mental health practitioners and financial professionals.
**Molecular data from another source follow:**
A cluster of 3 separate species, C19H41BF9N6O8P2S in total, computed with the ωB97M-V functional and the def2-TZVPD basis.

```
87
Properties=species:S:1:pos:R:3:forces:R:3:lowdin_charge:R:1
C 4.777122 -2.622781 2.416831 0.00 0.04 -0.23 0.007
C 4.386745 -1.242107 1.962564 0.01 -0.08 0.27 -0.486
O 4.441863 -0.279187 2.678455 0.00 0.07 -0.06 0.122
N 4.007657 -1.192354 0.575940 0.03 0.22 -0.14 -0.092
C 5.183883 -0.700950 -0.170566 0.06 -0.11 0.45 -0.066
C 2.818342 -0.323465 0.362526 -0.14 -0.02 0.63 -0.341
O 1.929405 -0.490372 1.398927 0.15 -0.50 -0.41 -0.239
P 0.239809 -0.929383 0.948811 -0.17 0.32 1.23 0.701
C 0.769961 -2.800999 1.255424 0.27 -0.65 -0.13 -0.147
B 0.555381 -3.016313 2.773760 -0.01 0.07 -0.16 -0.757
O -0.615328 -3.556058 3.287779 -0.06 0.31 -0.02 0.125
O 1.545667 -2.647897 3.710998 0.08 -0.06 -0.08 0.097
C -1.516561 -1.480154 0.520057 0.06 0.14 -0.71 -0.201
C -2.499962 -0.749274 -0.441007 -0.49 0.03 0.56 -0.429
C -1.920845 -0.023323 -1.648191 -0.18 -0.14 -0.45 -0.092
C -3.532298 0.159565 0.272998 0.40 -0.18 -0.19 -0.095
C -0.048253 0.987820 1.029637 0.00 -0.18 1.26 -0.172
C -0.061934 1.364969 2.506315 -1.00 -1.00 -0.34 -0.419
C -1.393710 1.490754 3.178110 1.29 3.15 0.06 -0.004
O -0.443663 2.659074 2.818766 0.17 0.04 0.28 -0.106
O 0.749947 -0.912834 -0.716878 0.14 0.20 -0.07 -0.284
C 2.117162 -0.747730 -0.970271 -0.33 -0.22 -0.29 -0.530
C 2.272239 0.157913 -2.210015 -0.22 0.07 0.07 -0.138
C 1.750257 1.595702 -2.059191 -0.14 -0.14 -0.40 -0.061
C 2.823641 2.658001 -1.899990 0.22 -0.69 0.43 -0.438
F 3.223888 3.150085 -3.100500 -0.18 0.17 -0.06 0.110
F 3.954443 2.105468 -1.354256 0.01 0.17 -0.02 0.095
C 2.547396 3.852057 -0.936676 0.51 0.18 -0.25 -0.440
F 2.507422 3.403017 0.313036 -0.34 -0.10 -0.01 0.147
F 3.594719 4.691329 -1.023213 -0.08 0.02 0.01 0.119
S 0.982208 4.875445 -1.248893 0.14 0.48 0.19 0.776
F 0.102037 3.742097 -0.613919 -0.07 -0.16 -0.01 -0.112
F 0.788434 4.257930 -2.699412 -0.11 -0.15 -0.05 -0.132
F 1.810926 6.065760 -1.909800 -0.03 -0.04 -0.06 -0.145
F 1.166336 5.564693 0.168969 -0.05 -0.02 -0.01 -0.125
F -0.333063 5.729137 -1.469078 0.02 -0.01 -0.01 -0.123
P 2.644396 -2.405422 -1.653650 1.25 -0.01 -0.23 0.809
N 3.938969 -2.425179 -2.566079 -0.22 -0.02 -0.06 -0.316
H 5.090069 -2.613500 3.456968 -0.04 -0.01 0.03 0.081
H 3.918376 -3.273638 2.253321 0.00 -0.05 0.11 0.071
H 5.588763 -2.986788 1.781611 -0.01 -0.04 0.00 0.078
H 4.906634 -0.465195 -1.191138 0.04 -0.09 -0.07 0.057
H 5.621276 0.174447 0.325666 -0.11 0.15 -0.15 0.091
H 5.945613 -1.483466 -0.179113 -0.01 -0.02 -0.17 0.082
H 3.142824 0.726478 0.387656 0.05 0.03 -0.48 0.143
H -0.070169 -0.910082 2.368002 0.12 -0.03 -0.08 0.037
H 1.831270 -2.957770 1.059837 0.03 0.25 -0.03 0.013
H 0.229339 -3.523068 0.633869 -0.12 0.14 0.03 0.062
H -0.700735 -3.241345 4.196112 0.01 -0.27 0.04 0.093
H 1.971872 -3.417634 4.097269 -0.11 0.07 0.15 0.086
H -2.000687 -1.615168 1.488145 -0.07 0.05 0.07 0.080
H -1.415599 -2.492051 0.119780 0.09 0.08 -0.05 0.067
This year’s conference topics will be centered on learning and understanding more about “The Roots and Branches of Collaborative Practice.”
**What comes next are quantum chemistry results, not part of the piece:**
-- begin --
(1)
The following is a DFT calculation (ωB97M-V with the def2-TZVPD basis set) of a molecular structure, C6H9Br3O.

Geometry as XYZ:
```
19
C6H9Br3O (ωB97M-V with the def2-TZVPD basis set)
C 0.446 -0.517 -1.003
C -1.350 0.241 0.782
C 1.205 0.357 1.141
C -0.036 1.887 -0.417
C -0.043 0.433 0.083
C 0.015 -2.189 -1.000
O 1.135 -0.190 -1.914
Br -1.867 -2.172 -1.386
Br 0.904 -3.071 -2.352
Br 0.241 -3.213 0.635
H -1.402 0.868 1.675
H -1.277 -0.726 1.093
H -2.251 0.520 0.315
H 1.048 1.101 1.822
H 2.056 0.403 0.503
H 1.194 -0.584 1.548
H -0.994 2.363 -0.637
H 0.427 2.422 0.363
H 0.550 2.069 -1.250
```

Calculated values
HOMO energy in eV: -9.862
Energy in hartree: -8031.23766
ΔE to the lowest compared entry with this formula, charge and spin in eV: 0.804
Kohn-Sham gap in eV: 10.0892
Molar mass in g mol⁻¹: 336.8
Spin multiplicity: 1

(2)
The following is a DFT calculation (ωB97M-V with the def2-TZVPD basis set) of a molecular structure, C26H40BIrN7SSe2SiTe2.

Geometry as XYZ:
```
81
C26H40BIrN7SSe2SiTe2 (ωB97M-V with the def2-TZVPD basis set)
Ir -0.455 -0.072 -0.058
C -0.658 0.629 4.670
C -1.451 1.247 3.518
C -2.505 2.210 4.076
C -0.576 1.986 2.542
C 0.144 3.142 2.854
C 0.713 3.548 1.669
N 0.334 2.699 0.716
N -0.470 1.733 1.219
B 0.665 2.737 -0.771
N 1.728 1.663 -1.053
C 3.005 1.863 -1.378
C 3.613 0.638 -1.518
C 2.617 -0.308 -1.252
N 1.463 0.334 -0.979
C 2.793 -1.802 -1.380
C 2.706 -2.547 -0.051
C 4.118 -2.125 -2.069
N -0.591 2.432 -1.588
C -1.250 3.283 -2.374
C -2.166 2.565 -3.105
C -2.008 1.231 -2.711
N -1.053 1.169 -1.756
C -2.651 0.065 -3.437
C -3.045 0.496 -4.853
C -3.870 -0.551 -2.753
H -1.345 0.269 5.440
H 0.009 1.365 5.127
H -0.057 -0.210 4.337
H -1.965 0.457 2.976
H -2.043 2.977 4.700
H -3.224 1.664 4.689
H -3.050 2.710 3.273
H 0.230 3.612 3.818
H 1.339 4.392 1.434
H 1.091 3.819 -1.069
H 3.385 2.863 -1.501
H 4.635 0.448 -1.790
H 1.985 -2.161 -2.020
H 3.412 -2.137 0.674
H 2.946 -3.601 -0.209
H 1.705 -2.493 0.369
H 4.965 -1.826 -1.448
H 4.207 -1.625 -3.035
H 4.191 -3.199 -2.236
H -0.995 4.329 -2.386
H -2.837 2.946 -3.853
H -1.888 -0.707 -3.525
H -3.887 1.191 -4.835
H -3.355 -0.380 -5.424
H -2.218 0.972 -5.380
H -4.597 0.215 -2.480
H -3.591 -1.091 -1.854
H -4.348 -1.257 -3.436
Se -0.660 -2.048 -1.516
Te -1.919 -3.792 -0.320
Te -3.619 -2.344 1.124
Se -2.892 -0.075 0.600
C 1.285 -2.847 6.426
Si 1.233 -3.265 4.597
C 2.362 -4.723 4.269
C -0.525 -3.725 4.166
C 1.955 -1.773 3.694
C 3.161 -1.269 4.170
C 3.762 -0.157 3.600
C 3.117 0.433 2.530
N 1.973 -0.028 2.034
C 1.395 -1.098 2.589
S -0.128 -1.623 1.824
H 0.910 -3.682 7.023
H 0.666 -1.973 6.641
H 2.300 -2.628 6.766
H 2.018 -5.610 4.808
H 3.383 -4.511 4.594
H 2.391 -4.965 3.205
H -0.855 -4.494 4.871
H -0.611 -4.123 3.155
H -1.201 -2.872 4.247
H 3.646 -1.751 5.013
H 4.698 0.235 3.973
H 3.531 1.307 2.036
```

Calculated values
HOMO energy (spin up / spin down) in eV: -7.258 / -7.177
Energy in hartree: -7554.02675
ΔE to the lowest compared entry with this formula, charge and spin in eV: 0.785
-- stop --
**So much for the quantum chemistry results:**
Divorce is emotionally and financially difficult for parents and their children. The members of Family Divorce Solutions focus their practice on Collaborative Practice to facilitate agreements between people in conflict to enable them to create a solution that is tailored to their unique family situation.
Our FDS members are looking forward to bringing back a wealth of knowledge and information from the CPCal Conference that we can share with our clients as we help them thru their divorce proceedings using the collaborative law process.
Note: This information is general in nature and should not be construed as legal/financial/tax/or medical advice. You should work with your attorney, financial, medical and tax professional to determine what will work best for your situation.